[Material]
┌──
Record 1
This record from the Open Molecules 2025 dataset describes a cluster of 14 separate species, C50H129N7O14 in total. The level of theory is the ωB97M-V functional and the def2-TZVPD basis.

The geometry in XYZ format:
```
200
Properties=species:S:1:pos:R:3:mulliken_charge:R:1
C 3.090 -2.040 1.962 -1.8903
C 2.965 -1.183 3.261 1.8420
C 2.560 -2.186 4.296 -1.3318
C 2.616 -1.666 5.718 -0.5006
C 3.997 -1.051 6.078 -1.3411
C 4.561 -0.036 4.999 1.6355
N 4.282 -0.586 3.650 0.1013
O 4.857 0.155 2.627 -0.3299
C 3.813 1.334 5.205 -0.7426
C 6.089 0.126 5.234 -1.6775
C 1.880 -0.065 2.960 -0.4416
H 3.451 -1.422 1.140 0.0894
H 2.176 -2.520 1.612 0.2145
H 3.779 -2.869 2.129 0.6166
H 1.542 -2.513 4.083 0.3492
H 3.256 -3.026 4.306 0.4714
H 2.466 -2.497 6.408 0.4406
H 1.854 -0.890 5.798 0.0956
H 4.661 -1.911 6.161 0.4275
H 3.840 -0.593 7.054 0.3439
H 2.895 1.199 5.777 0.1636
H 4.403 1.952 5.884 0.5425
H 3.576 1.896 4.303 -0.4155
H 6.247 0.661 6.171 0.4161
H 6.683 -0.788 5.260 0.3598
H 6.496 0.727 4.420 0.3361
H 1.869 0.720 3.716 0.0629
H 0.865 -0.463 2.993 0.3027
H 2.136 0.341 1.982 -0.2296
H 4.283 0.917 2.489 0.1590
C 5.980 2.573 -1.013 -2.2093
C 4.788 3.033 -0.194 2.4927
C 5.386 3.416 1.180 -1.8345
C 4.435 4.129 2.168 0.2844
C 3.752 5.277 1.507 -1.6781
C 3.193 4.988 0.043 2.1315
N 4.143 4.245 -0.767 0.0304
O 3.690 3.968 -2.077 -0.2661
C 1.800 4.351 0.159 -1.4081
C 2.936 6.397 -0.563 -2.2541
C 3.782 1.895 -0.014 -0.1242
H 6.546 3.485 -1.211 0.5661
H 5.706 2.173 -1.989 0.3152
H 6.686 1.882 -0.554 0.3519
H 5.713 2.475 1.623 0.5363
H 6.264 4.052 1.063 0.5088
H 5.059 4.358 3.032 0.5611
H 3.809 3.334 2.576 -0.5999
H 4.234 6.248 1.625 0.4008
H 2.873 5.479 2.122 0.5796
H 1.749 3.487 0.821 -0.2113
H 1.157 5.138 0.555 0.7085
H 1.325 4.059 -0.778 0.1286
H 2.420 6.387 -1.523 0.3440
H 2.514 7.050 0.200 0.4212
H 3.919 6.794 -0.822 0.5774
H 4.270 0.920 0.020 0.8276
H 3.116 1.890 -0.877 -0.5005
H 3.128 2.022 0.849 -1.1877
H 4.080 4.612 -2.674 0.2841
C -2.685 2.560 -1.132 -1.4857
C -2.115 1.353 -0.338 2.2277
C -3.139 1.129 0.775 -0.9418
C -2.955 -0.204 1.530 0.0831
C -2.818 -1.421 0.606 -1.6447
C -1.745 -1.179 -0.517 2.3351
N -2.030 0.129 -1.159 0.4774
O -1.496 0.358 -2.435 2.5252
C -0.298 -1.349 0.011 -0.6386
C -1.970 -2.369 -1.496 -1.1521
C -0.798 1.825 0.323 -0.2262
H -2.953 3.397 -0.487 0.1969
H -3.573 2.225 -1.670 0.1178
H -1.974 2.927 -1.873 0.0438
H -3.170 1.838 1.605 -0.1066
H -4.150 1.305 0.405 0.0439
H -3.737 -0.349 2.276 0.2459
H -2.027 -0.144 2.101 -0.4829
H -3.752 -1.679 0.106 0.3388
H -2.453 -2.237 1.231 0.3326
H 0.481 -1.110 -0.712 -0.4691
H -0.172 -0.871 0.982 -0.5442
H -0.097 -2.410 0.171 0.4080
H -1.559 -3.245 -0.994 0.3983
H -3.022 -2.420 -1.773 -0.0104
H -1.319 -2.268 -2.366 -0.4125
H 0.108 1.790 -0.284 -0.5810
H -0.565 1.270 1.232 -0.3901
H -0.996 2.852 0.631 0.6490
H -0.549 0.508 -2.314 -0.1384
C -5.963 -1.227 -4.884 -1.7977
C -4.809 -1.432 -3.924 0.1476
C -3.487 -1.568 -4.770 0.5614
O -3.553 -2.748 -5.487 -0.4419
C -2.244 -3.255 -5.689 -0.4758
N -4.745 -0.230 -3.109 -0.3079
H -6.923 -0.895 -4.489 0.3693
H -6.140 -2.178 -5.389 0.4315
H -5.759 -0.507 -5.677 0.3662
H -4.909 -2.350 -3.346 0.2875
H -2.667 -1.536 -4.051 -0.2968
H -3.541 -0.667 -5.384 0.2039
H -1.623 -2.653 -6.354 0.3083
H -2.408 -4.153 -6.287 0.4379
H -1.736 -3.631 -4.801 -0.0232
H -3.885 -0.116 -2.588 -0.3778
H -4.726 0.608 -3.674 0.3247
C 4.235 -6.865 -2.664 -1.5187
C 2.718 -6.830 -2.814 1.1524
C 2.161 -5.561 -3.479 -0.5623
O 2.575 -4.380 -2.768 -0.3082
C 2.005 -4.142 -1.523 -0.3834
N 2.318 -8.027 -3.528 -0.7382
H 4.625 -5.900 -2.337 0.3026
H 4.794 -7.033 -3.586 0.3603
H 4.535 -7.620 -1.938 0.3749
H 2.202 -6.906 -1.856 -0.1644
H 1.109 -5.735 -3.709 0.0356
H 2.653 -5.435 -4.444 0.4252
H 2.069 -3.098 -1.217 -0.2140
H 2.517 -4.755 -0.779 0.5387
H 0.958 -4.425 -1.400 0.2150
H 2.524 -7.859 -4.505 0.3054
H 1.313 -8.130 -3.563 0.2306
C -2.472 5.357 4.925 -1.4091
C -2.003 4.653 3.616 0.7560
C -1.521 3.225 3.892 0.2843
O -0.662 3.096 5.022 -0.5900
└──

[Job]
The reader should print all of the data further up without altering anything.

[Result]
Record 1
This record from the Open Molecules 2025 dataset describes a cluster of 14 separate species, C50H129N7O14 in total. The level of theory is the ωB97M-V functional and the def2-TZVPD basis.

The geometry in XYZ format:
```
200
Properties=species:S:1:pos:R:3:mulliken_charge:R:1
C 3.090 -2.040 1.962 -1.8903
C 2.965 -1.183 3.261 1.8420
C 2.560 -2.186 4.296 -1.3318
C 2.616 -1.666 5.718 -0.5006
C 3.997 -1.051 6.078 -1.3411
C 4.561 -0.036 4.999 1.6355
N 4.282 -0.586 3.650 0.1013
O 4.857 0.155 2.627 -0.3299
C 3.813 1.334 5.205 -0.7426
C 6.089 0.126 5.234 -1.6775
C 1.880 -0.065 2.960 -0.4416
H 3.451 -1.422 1.140 0.0894
H 2.176 -2.520 1.612 0.2145
H 3.779 -2.869 2.129 0.6166
H 1.542 -2.513 4.083 0.3492
H 3.256 -3.026 4.306 0.4714
H 2.466 -2.497 6.408 0.4406
H 1.854 -0.890 5.798 0.0956
H 4.661 -1.911 6.161 0.4275
H 3.840 -0.593 7.054 0.3439
H 2.895 1.199 5.777 0.1636
H 4.403 1.952 5.884 0.5425
H 3.576 1.896 4.303 -0.4155
H 6.247 0.661 6.171 0.4161
H 6.683 -0.788 5.260 0.3598
H 6.496 0.727 4.420 0.3361
H 1.869 0.720 3.716 0.0629
H 0.865 -0.463 2.993 0.3027
H 2.136 0.341 1.982 -0.2296
H 4.283 0.917 2.489 0.1590
C 5.980 2.573 -1.013 -2.2093
C 4.788 3.033 -0.194 2.4927
C 5.386 3.416 1.180 -1.8345
C 4.435 4.129 2.168 0.2844
C 3.752 5.277 1.507 -1.6781
C 3.193 4.988 0.043 2.1315
N 4.143 4.245 -0.767 0.0304
O 3.690 3.968 -2.077 -0.2661
C 1.800 4.351 0.159 -1.4081
C 2.936 6.397 -0.563 -2.2541
C 3.782 1.895 -0.014 -0.1242
H 6.546 3.485 -1.211 0.5661
H 5.706 2.173 -1.989 0.3152
H 6.686 1.882 -0.554 0.3519
H 5.713 2.475 1.623 0.5363
H 6.264 4.052 1.063 0.5088
H 5.059 4.358 3.032 0.5611
H 3.809 3.334 2.576 -0.5999
H 4.234 6.248 1.625 0.4008
H 2.873 5.479 2.122 0.5796
H 1.749 3.487 0.821 -0.2113
H 1.157 5.138 0.555 0.7085
H 1.325 4.059 -0.778 0.1286
H 2.420 6.387 -1.523 0.3440
H 2.514 7.050 0.200 0.4212
H 3.919 6.794 -0.822 0.5774
H 4.270 0.920 0.020 0.8276
H 3.116 1.890 -0.877 -0.5005
H 3.128 2.022 0.849 -1.1877
H 4.080 4.612 -2.674 0.2841
C -2.685 2.560 -1.132 -1.4857
C -2.115 1.353 -0.338 2.2277
C -3.139 1.129 0.775 -0.9418
C -2.955 -0.204 1.530 0.0831
C -2.818 -1.421 0.606 -1.6447
C -1.745 -1.179 -0.517 2.3351
N -2.030 0.129 -1.159 0.4774
O -1.496 0.358 -2.435 2.5252
C -0.298 -1.349 0.011 -0.6386
C -1.970 -2.369 -1.496 -1.1521
C -0.798 1.825 0.323 -0.2262
H -2.953 3.397 -0.487 0.1969
H -3.573 2.225 -1.670 0.1178
H -1.974 2.927 -1.873 0.0438
H -3.170 1.838 1.605 -0.1066
H -4.150 1.305 0.405 0.0439
H -3.737 -0.349 2.276 0.2459
H -2.027 -0.144 2.101 -0.4829
H -3.752 -1.679 0.106 0.3388
H -2.453 -2.237 1.231 0.3326
H 0.481 -1.110 -0.712 -0.4691
H -0.172 -0.871 0.982 -0.5442
H -0.097 -2.410 0.171 0.4080
H -1.559 -3.245 -0.994 0.3983
H -3.022 -2.420 -1.773 -0.0104
H -1.319 -2.268 -2.366 -0.4125
H 0.108 1.790 -0.284 -0.5810
H -0.565 1.270 1.232 -0.3901
H -0.996 2.852 0.631 0.6490
H -0.549 0.508 -2.314 -0.1384
C -5.963 -1.227 -4.884 -1.7977
C -4.809 -1.432 -3.924 0.1476
C -3.487 -1.568 -4.770 0.5614
O -3.553 -2.748 -5.487 -0.4419
C -2.244 -3.255 -5.689 -0.4758
N -4.745 -0.230 -3.109 -0.3079
H -6.923 -0.895 -4.489 0.3693
H -6.140 -2.178 -5.389 0.4315
H -5.759 -0.507 -5.677 0.3662
H -4.909 -2.350 -3.346 0.2875
H -2.667 -1.536 -4.051 -0.2968
H -3.541 -0.667 -5.384 0.2039
H -1.623 -2.653 -6.354 0.3083
H -2.408 -4.153 -6.287 0.4379
H -1.736 -3.631 -4.801 -0.0232
H -3.885 -0.116 -2.588 -0.3778
H -4.726 0.608 -3.674 0.3247
C 4.235 -6.865 -2.664 -1.5187
C 2.718 -6.830 -2.814 1.1524
C 2.161 -5.561 -3.479 -0.5623
O 2.575 -4.380 -2.768 -0.3082
C 2.005 -4.142 -1.523 -0.3834
N 2.318 -8.027 -3.528 -0.7382
H 4.625 -5.900 -2.337 0.3026
H 4.794 -7.033 -3.586 0.3603
H 4.535 -7.620 -1.938 0.3749
H 2.202 -6.906 -1.856 -0.1644
H 1.109 -5.735 -3.709 0.0356
H 2.653 -5.435 -4.444 0.4252
H 2.069 -3.098 -1.217 -0.2140
H 2.517 -4.755 -0.779 0.5387
H 0.958 -4.425 -1.400 0.2150
H 2.524 -7.859 -4.505 0.3054
H 1.313 -8.130 -3.563 0.2306
C -2.472 5.357 4.925 -1.4091
C -2.003 4.653 3.616 0.7560
C -1.521 3.225 3.892 0.2843
O -0.662 3.096 5.022 -0.5900